/*
# PBE+U K2Cr4CdO16, optimized geometry
# MP2020-corrected energy	-6.7072	eV per atom
# ΔE_f	-33.343	eV per formula unit
data_K2Cr4CdO16
_chemical_formula_sum 'K2 Cr4 Cd1 O16'
_cell_length_a 6.9025
_cell_length_b 7.6213
_cell_length_c 8.0657
_cell_angle_alpha 88.15
_cell_angle_beta 82.07
_cell_angle_gamma 68.13
_space_group_name_H-M_alt 'P -1'
_space_group_IT_number 2
_space_group_name_Hall '-P 1'
loop_
_atom_site_label
_atom_site_type_symbol
_atom_site_fract_x
_atom_site_fract_y
_atom_site_fract_z
K1 K 0.2197 0.2377 0.1668
Cr1 Cr 0.2082 0.0230 0.6747
Cr2 Cr 0.2411 0.7039 0.1477
Cd1 Cd 0.5000 0.5000 0.5000
O1 O 0.0593 0.9288 0.2367
O2 O 0.1374 0.6413 0.0030
O3 O 0.2162 0.1848 0.5334
O4 O 0.2238 0.4267 0.6549
O5 O 0.2885 0.5417 0.2957
O6 O 0.3011 0.8128 0.5849
O7 O 0.3428 0.0316 0.8206
O8 O 0.4572 0.7296 0.0707

=====

No. 1
# Ca11C2N10 r²SCAN relaxed
data_Ca11C2N10
_symmetry_space_group_name_H-M 'P 42/m n m'
_symmetry_Int_Tables_number 136
_symmetry_space_group_name_Hall '-P 4n 2n'
_cell_length_a 14.483
_cell_length_b 14.483
_cell_length_c 3.605
_cell_angle_alpha 90.00
_cell_angle_beta 90.00
_cell_angle_gamma 90.00
loop_
_atom_site_label
_atom_site_fract_x
_atom_site_fract_y
_atom_site_fract_z
_atom_site_occupancy
Ca1 0.000 0.000 0.000 1
Ca2 0.020 0.205 0.500 1
Ca3 0.107 0.619 0.500 1
Ca4 0.167 0.833 0.000 1
C1 0.184 0.184 0.000 1
N1 0.028 0.689 0.000 1
N2 0.090 0.910 0.500 1
N3 0.124 0.124 0.000 1
N4 0.244 0.244 0.000 1
# calculated total energy	-9.2050	eV/atom
# formation energy	-1.005	eV per atom

No. 2
# Na2CaC2O6 r²SCAN relaxed
data_Na2CaC2O6
_symmetry_space_group_name_H-M 'P b c a'
_symmetry_Int_Tables_number 61
_cell_length_a 8.703
_cell_length_b 12.027
_cell_length_c 9.995
_cell_angle_alpha 90.00
_cell_angle_beta 90.00
_cell_angle_gamma 90.00
loop_
_symmetry_equiv_pos_as_xyz
'x,y,z'
'-x,-y,-z'
'-x+1/2,-y,z+1/2'
'x+1/2,y,-z+1/2'
'x+1/2,-y+1/2,-z'
'-x+1/2,y+1/2,z'
'-x,y+1/2,-z+1/2'
'x,-y+1/2,z+1/2'
loop_
_atom_site_label
_atom_site_fract_x
_atom_site_fract_y
_atom_site_fract_z
_atom_site_occupancy
Na1 0.055 0.080 0.108 1
Na2 0.057 0.114 0.650 1
Ca1 0.199 0.222 0.380 1
C1 0.133 0.719 0.127 1
C2 0.245 0.005 0.890 1
O1 0.058 0.713 0.017 1
O2 0.062 0.718 0.241 1
O3 0.138 0.021 0.319 1
O4 0.157 0.089 0.861 1
O5 0.208 0.557 0.491 1
O6 0.219 0.228 0.125 1
# calculated total energy	-8.4798	eV/atom
# formation energy	-2.126	eV per atom

No. 3
# CdH6C2O6 r²SCAN relaxed
data_CdH6C2O6
_symmetry_space_group_name_H-M 'P 1 21/c 1'
_symmetry_Int_Tables_number 14
_cell_length_a 8.949
_cell_length_b 7.304
_cell_length_c 9.754
_cell_angle_alpha 90.00
_cell_angle_beta 97.32
_cell_angle_gamma 90.00
loop_
_symmetry_equiv_pos_as_xyz
'x,y,z'
'-x,-y,-z'
'-x,y+1/2,-z+1/2'
'x,-y+1/2,z+1/2'
loop_
_atom_site_label
_atom_site_fract_x
_atom_site_fract_y
_atom_site_fract_z
_atom_site_occupancy
Cd1 0.000 0.000 0.000 1
Cd2 0.500 0.000 0.500 1
H1 0.044 0.154 0.278 1
H2 0.169 0.035 0.626 1
H3 0.205 0.104 0.233 1
H4 0.265 0.630 0.457 1
H5 0.302 0.081 0.984 1
H6 0.427 0.748 0.746 1
C1 0.167 0.602 0.079 1
C2 0.468 0.189 0.207 1
O1 0.056 0.705 0.094 1
O2 0.102 0.139 0.198 1
O3 0.235 0.504 0.426 1
O4 0.275 0.648 0.014 1
O5 0.401 0.079 0.279 1
O6 0.418 0.233 0.084 1
# calculated total energy	-7.4738	eV/atom
# formation energy	-1.036	eV per atom

No. 4
# CdCN2 r²SCAN relaxed
data_CdCN2
_symmetry_space_group_name_H-M 'R -3 m'
_symmetry_Int_Tables_number 166
_symmetry_space_group_name_Hall '-R 3 2"'
_cell_length_a 3.5567
_cell_length_b 3.5567
_cell_length_c 14.5799
_cell_angle_alpha 90.00
_cell_angle_beta 90.00
_cell_angle_gamma 120.00
loop_
_atom_site_label
_atom_site_fract_x
_atom_site_fract_y
_atom_site_fract_z
_atom_site_occupancy
Cd1 0.0000 0.0000 0.0000 1
C1 0.0000 0.0000 0.5000 1
N1 0.0000 0.0000 0.4156 1
# calculated total energy	-12.1049	eV/atom
# formation energy	-0.027	eV per atom

No. 5
# CdCO3 r²SCAN relaxed
data_CdCO3
_symmetry_space_group_name_H-M 'R -3 c'
_symmetry_Int_Tables_number 167
_symmetry_space_group_name_Hall '-R 3 2"c'
*/

Type out the data further up with every line break kept.

# PBE+U K2Cr4CdO16, optimized geometry
# MP2020-corrected energy	-6.7072	eV per atom
# ΔE_f	-33.343	eV per formula unit
data_K2Cr4CdO16
_chemical_formula_sum 'K2 Cr4 Cd1 O16'
_cell_length_a 6.9025
_cell_length_b 7.6213
_cell_length_c 8.0657
_cell_angle_alpha 88.15
_cell_angle_beta 82.07
_cell_angle_gamma 68.13
_space_group_name_H-M_alt 'P -1'
_space_group_IT_number 2
_space_group_name_Hall '-P 1'
loop_
_atom_site_label
_atom_site_type_symbol
_atom_site_fract_x
_atom_site_fract_y
_atom_site_fract_z
K1 K 0.2197 0.2377 0.1668
Cr1 Cr 0.2082 0.0230 0.6747
Cr2 Cr 0.2411 0.7039 0.1477
Cd1 Cd 0.5000 0.5000 0.5000
O1 O 0.0593 0.9288 0.2367
O2 O 0.1374 0.6413 0.0030
O3 O 0.2162 0.1848 0.5334
O4 O 0.2238 0.4267 0.6549
O5 O 0.2885 0.5417 0.2957
O6 O 0.3011 0.8128 0.5849
O7 O 0.3428 0.0316 0.8206
O8 O 0.4572 0.7296 0.0707

=====

No. 1
# Ca11C2N10 r²SCAN relaxed
data_Ca11C2N10
_symmetry_space_group_name_H-M 'P 42/m n m'
_symmetry_Int_Tables_number 136
_symmetry_space_group_name_Hall '-P 4n 2n'
_cell_length_a 14.483
_cell_length_b 14.483
_cell_length_c 3.605
_cell_angle_alpha 90.00
_cell_angle_beta 90.00
_cell_angle_gamma 90.00
loop_
_atom_site_label
_atom_site_fract_x
_atom_site_fract_y
_atom_site_fract_z
_atom_site_occupancy
Ca1 0.000 0.000 0.000 1
Ca2 0.020 0.205 0.500 1
Ca3 0.107 0.619 0.500 1
Ca4 0.167 0.833 0.000 1
C1 0.184 0.184 0.000 1
N1 0.028 0.689 0.000 1
N2 0.090 0.910 0.500 1
N3 0.124 0.124 0.000 1
N4 0.244 0.244 0.000 1
# calculated total energy	-9.2050	eV/atom
# formation energy	-1.005	eV per atom

No. 2
# Na2CaC2O6 r²SCAN relaxed
data_Na2CaC2O6
_symmetry_space_group_name_H-M 'P b c a'
_symmetry_Int_Tables_number 61
_cell_length_a 8.703
_cell_length_b 12.027
_cell_length_c 9.995
_cell_angle_alpha 90.00
_cell_angle_beta 90.00
_cell_angle_gamma 90.00
loop_
_symmetry_equiv_pos_as_xyz
'x,y,z'
'-x,-y,-z'
'-x+1/2,-y,z+1/2'
'x+1/2,y,-z+1/2'
'x+1/2,-y+1/2,-z'
'-x+1/2,y+1/2,z'
'-x,y+1/2,-z+1/2'
'x,-y+1/2,z+1/2'
loop_
_atom_site_label
_atom_site_fract_x
_atom_site_fract_y
_atom_site_fract_z
_atom_site_occupancy
Na1 0.055 0.080 0.108 1
Na2 0.057 0.114 0.650 1
Ca1 0.199 0.222 0.380 1
C1 0.133 0.719 0.127 1
C2 0.245 0.005 0.890 1
O1 0.058 0.713 0.017 1
O2 0.062 0.718 0.241 1
O3 0.138 0.021 0.319 1
O4 0.157 0.089 0.861 1
O5 0.208 0.557 0.491 1
O6 0.219 0.228 0.125 1
# calculated total energy	-8.4798	eV/atom
# formation energy	-2.126	eV per atom

No. 3
# CdH6C2O6 r²SCAN relaxed
data_CdH6C2O6
_symmetry_space_group_name_H-M 'P 1 21/c 1'
_symmetry_Int_Tables_number 14
_cell_length_a 8.949
_cell_length_b 7.304
_cell_length_c 9.754
_cell_angle_alpha 90.00
_cell_angle_beta 97.32
_cell_angle_gamma 90.00
loop_
_symmetry_equiv_pos_as_xyz
'x,y,z'
'-x,-y,-z'
'-x,y+1/2,-z+1/2'
'x,-y+1/2,z+1/2'
loop_
_atom_site_label
_atom_site_fract_x
_atom_site_fract_y
_atom_site_fract_z
_atom_site_occupancy
Cd1 0.000 0.000 0.000 1
Cd2 0.500 0.000 0.500 1
H1 0.044 0.154 0.278 1
H2 0.169 0.035 0.626 1
H3 0.205 0.104 0.233 1
H4 0.265 0.630 0.457 1
H5 0.302 0.081 0.984 1
H6 0.427 0.748 0.746 1
C1 0.167 0.602 0.079 1
C2 0.468 0.189 0.207 1
O1 0.056 0.705 0.094 1
O2 0.102 0.139 0.198 1
O3 0.235 0.504 0.426 1
O4 0.275 0.648 0.014 1
O5 0.401 0.079 0.279 1
O6 0.418 0.233 0.084 1
# calculated total energy	-7.4738	eV/atom
# formation energy	-1.036	eV per atom

No. 4
# CdCN2 r²SCAN relaxed
data_CdCN2
_symmetry_space_group_name_H-M 'R -3 m'
_symmetry_Int_Tables_number 166
_symmetry_space_group_name_Hall '-R 3 2"'
_cell_length_a 3.5567
_cell_length_b 3.5567
_cell_length_c 14.5799
_cell_angle_alpha 90.00
_cell_angle_beta 90.00
_cell_angle_gamma 120.00
loop_
_atom_site_label
_atom_site_fract_x
_atom_site_fract_y
_atom_site_fract_z
_atom_site_occupancy
Cd1 0.0000 0.0000 0.0000 1
C1 0.0000 0.0000 0.5000 1
N1 0.0000 0.0000 0.4156 1
# calculated total energy	-12.1049	eV/atom
# formation energy	-0.027	eV per atom

No. 5
# CdCO3 r²SCAN relaxed
data_CdCO3
_symmetry_space_group_name_H-M 'R -3 c'
_symmetry_Int_Tables_number 167
_symmetry_space_group_name_Hall '-R 3 2"c'